Activity >
Now return every line further below that contains the word "Record".
Given >
........
Record 1
{"formula": "C24H45BrCrN5O6Si3", "method": "ωB97M-V with the def2-TZVPD basis set", "species": ["Cr", "O", "C", "C", "C", "N", "C", "Br", "C", "H", "H", "H", "H", "C", "O", "C", "O", "N", "N", "H", "H", "H", "H", "H", "H", "C", "O", "Si", "C", "C", "C", "Si", "C", "C", "C", "Si", "C", "C", "C", "H", "H", "H", "H", "H", "H", "H", "H", "H", "H", "H", "H", "H", "H", "H", "H", "H", "H", "H", "H", "H", "H", "H", "H", "H", "H", "H", "O", "C", "N", "C", "O", "C", "C", "C", "C", "N", "C", "H", "H", "H", "H", "H", "H", "H", "H"], "coordinates": [[-0.35, 0.06, 0.21], [-3.63, 2.19, 4.99], [-2.92, 1.79, 3.95], [-1.70, 2.35, 3.56], [-1.07, 1.83, 2.46], [-1.55, 0.80, 1.73], [-2.74, 0.30, 2.11], [-3.51, -1.05, 1.04], [-3.45, 0.74, 3.19], [-3.22, 2.94, 5.44], [-1.26, 3.18, 4.09], [-0.13, 2.26, 2.13], [-4.40, 0.31, 3.45], [-0.61, -3.41, 3.33], [-0.81, -3.95, 2.01], [-0.74, -3.11, 0.99], [-0.47, -1.91, 1.14], [-0.98, -3.74, -0.17], [-1.04, -3.02, -1.36], [-0.86, -4.22, 4.01], [-1.27, -2.57, 3.49], [0.43, -3.12, 3.46], [-1.24, -4.72, -0.12], [-1.97, -3.09, -1.76], [-0.38, -3.41, -2.02], [1.84, -1.54, -1.53], [0.87, -0.49, -1.33], [0.69, 0.92, -2.32], [0.29, 0.30, -4.01], [2.31, 1.80, -2.42], [-0.62, 1.60, -1.17], [-0.32, 3.44, -0.70], [1.16, 3.67, 0.44], [-1.77, 4.25, 0.15], [-0.03, 4.47, -2.22], [-2.37, 1.40, -1.94], [-3.76, 1.94, -0.81], [-2.69, -0.40, -2.36], [-2.47, 2.36, -3.55], [2.85, -1.15, -1.47], [1.69, -1.98, -2.51], [1.69, -2.29, -0.76], [1.22, 0.26, -4.59], [-0.39, 0.97, -4.54], [-0.16, -0.69, -4.00], [3.12, 1.08, -2.59], [2.57, 2.40, -1.54], [2.29, 2.46, -3.28], [1.59, 2.76, 0.84], [0.87, 4.30, 1.29], [1.96, 4.20, -0.08], [-2.22, 3.67, 0.96], [-2.56, 4.48, -0.57], [-1.42, 5.20, 0.57], [0.65, 4.00, -2.95], [0.43, 5.42, -1.92], [-0.96, 4.70, -2.73], [-3.49, 1.95, 0.25], [-4.61, 1.26, -0.94], [-4.10, 2.94, -1.07], [-2.46, -1.08, -1.54], [-2.14, -0.73, -3.24], [-3.76, -0.50, -2.58], [-3.21, 3.17, -3.46], [-2.81, 1.69, -4.35], [-1.53, 2.81, -3.86], [6.48, -0.19, -1.56], [6.96, 0.34, -0.34], [5.93, 0.14, 0.65], [4.89, 1.00, 0.74], [4.83, 2.09, 0.22], [3.69, 0.51, 1.52], [3.69, 0.12, 2.85], [2.49, -0.24, 3.44], [1.33, -0.20, 2.69], [1.33, 0.19, 1.40], [2.50, 0.54, 0.85], [7.08, 0.06, -2.27], [7.15, 1.41, -0.41], [7.86, -0.17, 0.00], [5.80, -0.80, 0.99], [4.62, 0.09, 3.42], [2.44, -0.53, 4.48], [0.38, -0.47, 3.12], [2.47, 0.88, -0.18]], "mulliken_spin": [3.16, 0.00, 0.01, 0.01, 0.09, -0.11, 0.01, 0.00, -0.01, 0.00, 0.00, -0.02, 0.00, 0.00, 0.00, 0.02, 0.02, 0.00, 0.00, 0.00, 0.00, 0.00, 0.00, 0.00, 0.00, 0.01, -0.06, 0.00, 0.00, 0.01, -0.12, 0.04, 0.01, 0.00, -0.01, -0.02, 0.01, -0.01, -0.02, 0.00, 0.00, 0.00, 0.00, 0.00, 0.00, 0.00, 0.00, 0.00, 0.00, 0.00, 0.00, 0.00, 0.00, 0.00, 0.00, 0.00, 0.00, 0.00, 0.00, 0.00, 0.00, 0.00, 0.00, 0.00, 0.00, 0.00, 0.00, 0.00, 0.00, 0.00, 0.00, -0.01, 0.01, 0.00, 0.04, -0.15, 0.09, 0.00, 0.00, 0.00, 0.00, 0.00, 0.00, 0.00, -0.01], "total_energy_ha": -6153.3990, "homo_lumo_gap_ha": [0.2913, 0.3127], "total_charge": 2, "spin_multiplicity": 4}

Record 2
........
Reply >
Record 1
Record 2